(Exercise)
What is needed: search the contents underneath for the word "O-" and transcribe each line that has it.
(Entries)
-- begin --
# 1
Here is C16H23MgN3SSi as an isolated structure from the OMol25 dataset. Energies are from ωB97M-V/def2-TZVPD.

Structure (XYZ):
```
45
Properties=species:S:1:pos:R:3:mulliken_charge:R:1
Mg 9.80 8.96 5.52 0.71
C 11.29 8.00 4.27 -1.21
H 12.01 8.77 3.93 0.24
H 10.67 7.76 3.41 0.25
H 11.84 7.15 4.59 0.35
S 8.22 9.74 7.24 -0.52
C 8.61 11.23 6.38 1.01
N 8.74 12.44 7.27 -0.48
C 8.82 13.60 6.47 -1.25
C 9.97 13.63 5.47 0.23
C 10.44 12.19 5.23 -0.76
N 9.86 11.16 5.63 -0.62
H 8.03 12.48 7.99 0.38
H 8.67 14.53 7.01 0.64
H 10.77 14.35 5.62 0.58
H 11.40 12.09 4.78 0.47
C 4.89 6.81 5.74 -0.91
C 5.94 6.30 4.67 -0.23
C 7.20 7.04 4.69 0.10
N 8.20 7.56 4.59 -0.26
H 4.02 6.23 5.72 0.38
H 4.64 7.84 5.62 0.16
H 5.30 6.69 6.78 0.29
H 5.48 6.51 3.70 0.23
H 6.19 5.22 4.79 0.28
C 5.50 11.53 5.74 -1.27
Si 7.26 11.79 5.15 -0.17
C 7.57 11.16 3.39 -1.02
C 7.79 13.66 5.22 1.26
C 6.73 14.56 5.50 -0.51
C 6.81 15.92 5.29 -0.78
C 7.97 16.40 4.58 -0.32
C 9.01 15.65 4.18 -1.21
C 9.04 14.13 4.32 0.16
H 4.89 12.30 5.21 0.41
H 5.34 11.72 6.71 0.54
H 4.92 10.62 5.46 0.17
H 6.70 11.41 2.80 0.39
H 7.71 10.10 3.39 0.35
H 8.50 11.59 2.95 0.26
H 5.88 14.20 5.99 0.41
H 5.97 16.60 5.58 0.35
H 8.02 17.46 4.35 0.36
H 9.91 16.15 3.74 0.35
H 9.25 13.78 3.30 0.19
```

Properties
2S+1: 1
ΔE to the lowest compared entry with this formula, charge and spin in eV: 0.966
Max |F| in eV/Å: 4.19
Gap between HOMO and LUMO in eV: 7.720


# 2
Here is an isolated ion of composition C16H23N2O5 and charge -1 from the OMol25 dataset. Energies are from ωB97M-V/def2-TZVPD.

Structure (XYZ):
```
46
Properties=species:S:1:pos:R:3:mulliken_charge:R:1
C 4.04 -2.11 2.28 -1.74
C 3.83 -1.12 1.13 1.16
C 5.14 -0.91 0.37 -1.47
C 2.72 -1.64 0.21 -1.40
C 2.25 -0.67 -0.88 -0.91
C 1.60 0.59 -0.31 0.15
C 2.62 1.70 -0.04 0.07
O 3.70 1.77 -0.59 -0.63
O 2.20 2.62 0.80 -0.63
C 0.49 1.24 -1.18 0.66
C 0.60 0.93 -2.67 -1.87
C -0.89 0.88 -0.63 -0.88
C -1.16 1.49 0.73 0.34
O -0.30 2.10 1.41 -0.83
N -2.40 1.34 1.16 0.12
N -3.38 0.70 0.44 -0.58
C -4.54 0.71 1.09 0.22
O -4.76 1.21 2.21 -0.87
C -5.60 0.04 0.30 0.12
C -5.55 -0.57 -0.93 -0.01
C -6.85 -1.04 -1.20 -0.60
C -7.60 -0.69 -0.12 -0.43
O -6.86 -0.04 0.79 -0.33
H 4.35 -3.08 1.89 0.35
H 3.12 -2.24 2.85 0.41
H 4.81 -1.75 2.96 0.42
H 3.52 -0.16 1.56 0.10
H 5.41 -1.82 -0.17 0.30
H 5.94 -0.67 1.07 0.43
H 5.03 -0.09 -0.33 0.30
H 3.07 -2.56 -0.27 0.55
H 1.85 -1.90 0.83 0.38
H 1.53 -1.21 -1.50 0.38
H 3.10 -0.39 -1.51 0.41
H 1.15 0.33 0.65 0.49
H 1.23 2.45 1.09 0.61
H 0.59 2.33 -1.09 0.45
H 0.33 -0.11 -2.88 0.36
H 1.61 1.10 -3.02 0.43
H -0.07 1.57 -3.23 0.46
H -1.00 -0.21 -0.54 0.22
H -1.68 1.22 -1.30 0.57
H -2.70 1.72 2.06 0.35
H -4.67 -0.65 -1.54 0.51
H -7.18 -1.56 -2.07 0.42
H -8.64 -0.84 0.11 0.44
```

Properties
2S+1: 1
Max |F| in eV/Å: 1.16
Gap between HOMO and LUMO in eV: 7.088
Charge: -1
SMILES: CC(C)CC[C@@H](C(=O)O)[C@@H](C)CC(=O)N/N=C(\[O-])c1ccco1


# 3
Here is a 3-piece molecular cluster, C16H23N2O6PS2 overall from the OMol25 dataset. Energies are from ωB97M-V/def2-TZVPD.

Structure (XYZ):
```
50
Properties=species:S:1:pos:R:3:mulliken_charge:R:1
N 4.99 3.92 -1.29 -0.68
P 4.75 2.52 -0.45 0.23
C 2.87 1.99 -0.46 0.36
C 2.53 0.35 -0.46 -0.50
C 0.94 -0.14 -0.44 -0.32
C -0.18 1.06 -0.42 0.56
C 0.13 2.67 -0.44 0.16
C 1.70 3.16 -0.45 -0.60
C -1.29 3.49 -0.44 0.32
O -1.54 4.80 -0.36 -0.57
N -2.44 2.46 -0.53 -0.30
C -1.82 1.06 -0.36 0.32
O -2.48 -0.08 -0.15 -0.63
H 5.39 4.58 -0.56 0.22
H 5.54 1.44 -1.06 0.11
H 5.11 2.68 0.97 0.11
H 3.39 -0.47 -0.47 0.22
H 0.59 -1.26 -0.41 0.30
H 1.94 4.30 -0.44 0.32
H -3.14 2.61 0.25 0.31
O -0.51 -1.20 -2.86 -0.50
S -1.31 -1.38 -4.04 1.04
O -1.03 -0.69 -5.29 -0.71
C -1.45 -3.12 -4.38 -0.73
C -2.67 -3.57 -3.58 -0.56
C -3.72 -2.48 -3.80 -0.70
C -3.03 -1.13 -3.61 -0.28
H -0.53 -3.63 -4.07 0.38
H -1.61 -3.25 -5.45 0.34
H -3.03 -4.55 -3.91 0.34
H -2.42 -3.63 -2.52 0.29
H -4.11 -2.55 -4.82 0.30
H -4.57 -2.59 -3.11 0.35
H -3.46 -0.36 -4.26 0.38
H -3.07 -0.80 -2.57 0.01
O 2.68 0.76 3.71 -0.69
S 1.64 -0.19 3.36 1.15
O 1.61 -0.87 2.08 -0.55
-- stop --
(Completed)
SMILES: CC(C)CC[C@@H](C(=O)O)[C@@H](C)CC(=O)N/N=C(\[O-])c1ccco1